It took just 326 days from release of the genetic sequence of the SARS-CoV-2 virus to the world achieving authorisation of the first COVID-19 vaccine. The Science Museum's latest exhibition, Injecting Hope: The Race for a Covid-19 Vaccine, skillfully describes this remarkable story.
At an event to mark the launch of the exhibition at the Science Museum, Dr Richard Hatchett (CEO of CEPI) sat down with Roger Highfield OBE (Director of Science at the Science Museum) to discuss how CEPI plans to help the world compress vaccine development timelines down even further to just 100 days, regardless of the kind of virus that might emerge in the future.
The interview has been edited for brevity and clarity. Watch the full interview here.
Roger Highfield: Let's put the whole 100 days effort in context. The race for the COVID-19 vaccine seems a really good place to start. Give us your take on how well the global scientific community did in response to outbreak in 2020?
Richard Hatchett: I think the scientific community accomplished amazing things. We developed a vaccine in about 11 months from the release of the genetic sequences, before it was available under emergency use authorization. And that was the fastest that a vaccine had ever been developed, the previous record for developing a vaccine from the isolation of a virus was about four and a half years. And it was a mumps vaccine that was developed in the 1960s. No vaccine had ever been developed faster than that.
What the world accomplished in response to COVID-19 was amazing, it was unprecedented. And it was also insufficient. By the time the vaccines became available, there were tens of millions of cases, the virus had spread all around the world. So we have to develop vaccines much more rapidly in response to future threats, we have to be much more prepared, in many ways beyond just vaccine development for future pandemic threats.
I understand your point that we could have done so much better, but we've still got to keep on pinching ourselves that we managed to deliver several vaccines in about a year…
Not only that, within a year of the first vaccine becoming licensed the world had produced and delivered somewhere on the order of 12 billion doses of vaccine. To put that into perspective, in 2019, the total global production of all vaccine manufacturers of all vaccines was about 5.5 billion doses. So it speaks to how rapidly we scaled up.

Images of human coronavirus captured in 1967 by Virologist, June Almeida
Were you surprised by how well the mRNA vaccines performed?
CEPI, my organisation, made our first investments in COVID-19 vaccines 12 days after the viral sequences were released, and of the three vaccines that we first funded, one of them was an mRNA vaccine, it was a Moderna vaccine.
Before CEPI, I used to work in an organisation in the US government called BARDA [Biomedical Advanced Research and Development Authority]. The year before I came to CEPI, we were working on Zika virus. It was 2016 when the Zika virus was spreading through the Western Hemisphere, and one of the vaccines that we had funded in 2016 was a Moderna/Zika vaccine and we still don't have a Zika vaccine, and it's 2022. So the success of the mRNA vaccines against COVID-19 was by no means a sure thing.
The rapid availability of the viral sequences was also remarkable. It was like a starting pistol for the whole pandemic response, wasn't it?
It was a remarkable moment. It let us get off to a flying start once we had the sequences, which I think it was on January 10th or 11th, 2020. The reason that we knew that the Spike protein was the right target and the reason that we knew how to manipulate the Spike protein in a way that made the initial vaccines so effective was actually because of a lot of prior investment. There had been a lot of work done to figure out how to develop vaccines against coronaviruses, because we had had prior experience with SARS-CoV-1, which had a mortality rate of 10%, and MERS-CoV, which had a mortality rate of around 35%.

[These crystal structures were left in the entry by mistake]
┌──
(1)
For MnI2O6, a PBE+U-relaxed structure gives the theoretical X-ray diffraction stick pattern in this record (copper Kα).
No peak broadening, texture or thermal motion is included.

Peak list (6 most intense, 10° ≤ 2θ ≤ 90°, sorted by position)
hkl, 2theta, d [Å], I/Imax
1 1 1, 24.65, 3.611, 100
0 1 2, 24.76, 3.596, 48
2 0 0, 31.46, 2.843, 17
1 0 -3, 31.64, 2.828, 14
1 0 3, 31.81, 2.813, 16
1 2 3, 46.96, 1.935, 14

Atomic structure:
Lattice parameters (Å, degrees): 5.687 5.330 9.745 90.00 90.35 90.00
Space group P2_1 (No. 4)
Unique sites:
Mn 0.233 0.000 0.245
I 0.263 0.579 0.567
I 0.270 0.098 0.898
O 0.013 0.233 0.382
O 0.097 0.285 0.775
O 0.150 0.213 0.061
O 0.345 0.783 0.423
O 0.452 0.773 0.104
O 0.460 0.722 0.696


(2)
For MnI2O6, a PBE+U-relaxed structure gives the theoretical X-ray diffraction stick pattern in this record (copper Kα).
No peak broadening, texture or thermal motion is included.

Peak list (6 most intense, 10° ≤ 2θ ≤ 90°, sorted by position)
hkl, 2theta, d [Å], I/Imax
1 1 1, 21.66, 4.102, 24
0 2 0, 26.09, 3.416, 22
3 1 1, 27.51, 3.242, 100
0 0 2, 32.80, 2.730, 13
6 0 2, 49.50, 1.841, 11
3 1 3, 55.39, 1.659, 13

Atomic structure:
Lattice parameters (Å, degrees): 14.965 6.832 5.460 90.00 90.00 90.00
Space group Pbcn (No. 60)
Unique sites:
Mn 0.000 0.145 0.250
I 0.152 0.287 0.748
O 0.079 0.107 0.911
O 0.084 0.337 0.471
O 0.238 0.126 0.627


(3)
For MnI2O6, a PBE+U-relaxed structure gives the theoretical X-ray diffraction stick pattern in this record (copper Kα).
No peak broadening, texture or thermal motion is included.

Peak list (6 most intense, 10° ≤ 2θ ≤ 90°, sorted by position)
hkl, 2theta, d [Å], I/Imax
0 1 3, 21.66, 4.103, 53
1 0 3, 22.25, 3.996, 52
1 1 1, 22.84, 3.893, 100
1 1 2, 24.52, 3.630, 63
1 0 4, 26.09, 3.416, 39
1 1 3, 27.10, 3.290, 78

Atomic structure:
Lattice parameters (Å, degrees): 5.508 5.800 17.414 90.00 90.00 90.00
Space group P2_12_12_1 (No. 19)
Unique sites:
Mn 0.210 0.170 0.094
I 0.035 0.863 0.923
I 0.246 0.718 0.292
O 0.023 0.030 0.205
O 0.036 0.479 0.839
O 0.054 0.611 0.516
O 0.110 0.501 0.662
O 0.128 0.875 0.377
O 0.225 0.175 0.547


(4)
For MnI2O6, a PBE+U-relaxed structure gives the theoretical X-ray diffraction stick pattern in this record (copper Kα).
No peak broadening, texture or thermal motion is included.

Peak list (6 most intense, 10° ≤ 2θ ≤ 90°, sorted by position)
hkl, 2theta, d [Å], I/Imax
1 2 -1, 20.83, 4.264, 47
0 0 2, 25.09, 3.549, 65
0 1 2, 26.32, 3.386, 36
2 0 -2, 27.45, 3.249, 68
1 3 0, 28.23, 3.161, 100
1 3 -2, 32.01, 2.796, 40

Atomic structure:
Lattice parameters (Å, degrees): 6.863 11.301 8.380 90.00 122.10 90.00
Space group P2_1/c (No. 14)
Unique sites:
Mn 0.185 0.101 0.481
I 0.227 0.078 0.965
I 0.337 0.712 0.062
O 0.017 0.538 0.328
O 0.048 0.213 0.883
O 0.135 0.589 0.021
O 0.374 0.096 0.833
O 0.433 0.113 0.403
O 0.458 0.737 0.315


(5)
For Mn3Sb2I4O4, a PBE+U-relaxed structure gives the theoretical X-ray diffraction stick pattern in this record (copper Kα).
└──
Genetic sequence of the COVID-19 Spike protein
Thank goodness COVID-19 didn't have the MERS mortality rate, that would have knocked over civilization, wouldn't it?
MERS-CoV is effectively 100 times as lethal as COVID-19. And I think as we go forward and think about being prepared for future threats, we have to remember that there are hundreds of coronaviruses that have been documented in animal populations. And some of them have the lethality that SARS-CoV-1 and MERS-CoV have and others are as contagious as COVID-19 and the other cold viruses.
So the potential for a truly civilization shattering event is not a fiction. We don't know what's out there. We don't know what it would take. But we understood the potential threat posed by coronaviruses as a viral family. We knew that before COVID-19 emerged and so we hit invested in figuring out how to develop vaccines against COVID-19 on technology platforms like mRNA, but also the ChadOx1 platform that Oxford was working on.
In fact, CEPI was funding the Oxford group to develop a MERS vaccine as early as 2018. So there was a known set of possible approaches that lend themselves to a rapid response and we had done the work to understand the virus and we had shown how to develop vaccines against similar viruses on the platforms. If the world was fated to have a pandemic with a virus other than flu, we were very, very fortunate that it was a coronavirus. And we were very fortunate that it only had the lethality that COVID-19 has, as opposed to having the lethality of SARS-CoV-1 or MERS.
How fair do you feel that the distribution of COVID-19 vaccines ended up being at the end of the day?
Was it fair? No, it wasn't fair. Was it predictable? Absolutely. Early on, CEPI recognised the likely distributional challenges and focussed a lot of energy on doing everything that we could offset them. I think we were partially successful, and, and partially not.
The reason it was predictable was because we had seen exactly the same outcomes a decade or so ago when, during the last pandemic of H1N1 Swine Flu in 2009, there were 10 countries that had seriously planned for pandemics and had effectively put in place contingent purchase contracts and bought up the entire global supply of vaccine.
So there was no vaccine for the other 184 countries. In 2009 and 2010, there was an effort to share vaccines, and it got started late. The rich countries basically agreed to donate 10% of their supply of vaccine to the rest of the world. They made that announcement in September, 2009. By the time they cancelled the programme a year after they made the announcement, they had only shared 75 million doses with the rest of the world.
History showed that if we just let the market play itself out and let the countries with resources do what they would naturally do to protect their own populations, it results in no vaccine for the rest of the world.
So, as early as January, 2020, CEPI and Gavi, the vaccine Alliance started planning for how we could secure a vaccine for the rest of the world. We set up a mechanism called COVAX. And, over time COVAX has had a huge impact. We have delivered over 1.8 billion doses of vaccine 246 countries. It accounts for about 80 to 90% of the vaccine that has been administered in low-income countries. But the but the rates of delivery were much slower, because by the time we set COVAX up, by the time we secured funding to support vaccine procurement, the rich countries had bought up all of the supply.
One of the main drivers of the inequities that we saw during the rollout of COVID-19 vaccines in 2021, is the fact that vaccines are really only manufactured in a few of locations around the world. They're manufactured in the US, in the UK, in Europe, in China, and in India. And those are all regions that have very large populations. For national political leaders it is not feasible that they will give away vaccine when their own populations haven't been served. So there were structural causes of the inequity, in addition to lack of financing, problems with distribution, inadequate vaccine-delivery systems in poor countries.
Ultimately, as long as there's scarcity, you'll have inequity. To address the issue of scarcity of vaccine supply, we're calling for an expansion of manufacturing capacity to regions that currently don't have much vaccine manufacturing, like Africa. If you have more centres of vaccine production, and they can scale-up quickly, you can get over the period of scarcity quickly. But those vaccine makers have to have access to the technologies like mRNA, but not limited to mRNA, which can be scaled up rapidly. An important part of being globally prepared is to prepare vaccine makers globally to have the ability to use these new technologies to rapidly produce vaccines once we identify candidate vaccines. So once we have the vaccine recipe, we can distribute it to manufactures around the world. This will speed up vaccine delivery to regions with historically limited manufacturing capacity so that they can focus on the most highly vulnerable people. And it will allow us to save lives and reduce impact of a pandemic.
In CEPI's "What Will it Take" report, it outlines five key steps that the world will have to take if we're going to be to deliver vaccines at pandemic speed. Talk us through those steps.
We need better techniques for early detection of viral threats. We need stronger norms around vaccine sharing. We have to do as much of the work in advance before the next virus emerges. We did that for SARS-CoV-1 and MERS-CoV before COVID-19 emerged. We have to do that comprehensively for as many of the viral families as we can.
We've had two pandemics now in 13 years. And one of them happened to be very, very mild, and one of them was COVID-19. Can you imagine having two COVID-scale events in a decade? We need to be prepared for the range of possible threats, we need to do the work in advance, we need to take the kinds of innovations that were developed in 2020 and optimise every step of the development. And we need to have prepared regulatory systems that are ready, that have as much information in advance as possible about the vaccine platforms, about the different viral families, about the exemplar vaccines, so that they are ready to authorise vaccines on a risk-adjusted basis.
Your report also talks about the need to speed up identification of immune response markers. Talk us through why understanding this is so important.
If you can learn how a vaccine works and look for markers in the blood that are linked to the protection that the vaccine provides, you can identify a correlate of protection. If you can produce that correlative protection with a new vaccine against the related virus, you have a pretty strong basis for believing that the vaccine will work without having to do full phase 3 testing.
We already do this with flu vaccines. Every year we develop new flu vaccines using the current technology. We don't do full phase 3 testing. And the reason we don't is because the egg-based production system for flu vaccines is very well understood. The general safety of these egg-based vaccines is well understood, we know what the correlates of protection are a certain marker of antibodies against the hemagglutinin protein which is found on the flu virus.
If regulators are comfortable with the level of hemagglutinin antibodies that are produced by a flu vaccine candidate, that they are at the level needed to provided protection, then they appprove the vaccine and release it. The vaccine testing and approval process for flu vaccines is very compressed and we need to be able to do that for many, many more kinds of viruses.
If we have been able to develop the COVID-19 vaccine within 100 days and deliver it by mid-April, 2020, how would the pandemic have played out differently?
If we'd had a vaccine in mid-April, we would have been able to deliver doses when there were about 2.2 million cases of disease rather than in December when they were close to 70 million. Of course, vaccines aren't the only solution to pandemic preparedness, and we don't claim that they are, but they're a really, really important tool. If you imagine a world that had better surveillance systems. and stronger norms around information sharing, we probably could have picked up the fact that we had a new coronavirus maybe a month earlier. And if you back the clock up another month, and we had the sequences by mid-December, 2019, rather than mid-January, 2020, then you're in a situation where you have a cumulative total of around 300,000 cases. And if you imagine a world that takes pandemic threats seriously and implements the kind of interventions locally, and for a limited frame of time, that China did by mid-January, but implemented much earlier, you're probably reducing the number of cases by another order of magnitude, and you're also reducing the geographic spread. So then you're talking about having vaccines available when there may be 30,000 cases. And all of a sudden, you're within reach of being able to prevent pandemics all together. The IMF's last estimate was that the pandemic would produce about $15 trillion of direct economic impact over several years. And that's leaving aside the economic impact of supervening crises.

Glass vial that held Margaret Keenan's first Pfizer-BioNTech COVID-19 vaccine
Do you worry that the energy might be sucked out of your pandemic plans by global complacency and other geopolitical distractions.
I'm not as concerned about complacency because I think COVID-19 hit global society like a meteorite, and I think the saliency of the threat is there. But we now have a series of cascading crises, most of which can be traced back to the pandemic, in terms of economic disruption and the impending food crisis and certainly the war in Ukraine. Political leaders have limited bandwidth and they have to focus on the crisis in front of them. And we have stacked-up crises and limited resources. I don't think any politician would deny that pandemics are an important problem. I think the argument to the political leaders has to be: look at all of the crises that we're dealing with now and remember that we're in an economic crisis because of the expenditures that we undertook during the pandemic.
The entry is interrupted by records of crystals:
┌──
(1)
Simulated X-ray diffraction stick pattern
Compound: LiEr4Zr4O14
Radiation: Cu Kα
Structure: a DFT-relaxed cell (GGA-PBE, the Materials Project)
Intensities are scaled so that the largest is 100.

Cell and atoms:
Unit cell a=3.6299 b=7.5387 c=10.7120 alpha=90.00 beta=90.46 gamma=90.00
Element x y z (fractional)
Li (0.0000, 0.0000, 0.0000)
Er (0.4948, 0.2725, 0.0129)
Er (0.4948, 0.7275, 0.0129)
Er (0.9722, 0.0000, 0.7322)
Er (0.9768, 0.5000, 0.2724)
Zr (0.4752, 0.2607, 0.5077)
Zr (0.4752, 0.7393, 0.5077)
Zr (0.9638, 0.0000, 0.2553)
Zr (0.9772, 0.5000, 0.7480)
O (0.4659, 0.5000, 0.6168)
O (0.4675, 0.0000, 0.6114)
O (0.4715, 0.0000, 0.3453)
O (0.4774, 0.5000, 0.3817)
O (0.4836, 0.5000, 0.8650)
O (0.5072, 0.0000, 0.0805)
O (0.9645, 0.2679, 0.6462)
O (0.9645, 0.7321, 0.6462)
O (0.9715, 0.2342, 0.4082)
O (0.9715, 0.7658, 0.4082)
O (0.9925, 0.1984, 0.8941)
O (0.9925, 0.8016, 0.8941)
O (0.9956, 0.2548, 0.1548)
O (0.9956, 0.7452, 0.1548)

Largest 6 diffraction maxima, in order of falling intensity, 10° ≤ 2θ ≤ 90°:
2θ/deg	I_rel
28.97	100
29.62	50
29.85	48
34.30	41
48.83	33
48.52	32


(2)
Simulated X-ray diffraction stick pattern
Compound: MnBiS2Cl
Radiation: Cu Kα
Structure: a DFT-relaxed cell (GGA-PBE, the Materials Project)
Intensities are scaled so that the largest is 100.

Cell and atoms:
Unit cell a=9.5064 b=3.8881 c=12.3999 alpha=90.00 beta=90.00 gamma=90.00
Element x y z (fractional)
Mn (0.0056, 0.2500, 0.2404)
Mn (0.4944, 0.7500, 0.7404)
Mn (0.5056, 0.2500, 0.2596)
Mn (0.9944, 0.7500, 0.7596)
Bi (0.1985, 0.7500, 0.4694)
Bi (0.3015, 0.2500, 0.9694)
Bi (0.6985, 0.7500, 0.0306)
Bi (0.8015, 0.2500, 0.5306)
S (0.0518, 0.2500, 0.6195)
S (0.2490, 0.7500, 0.8222)
S (0.2510, 0.2500, 0.3222)
S (0.4482, 0.7500, 0.1195)
S (0.5518, 0.2500, 0.8805)
S (0.7490, 0.7500, 0.6778)
S (0.7510, 0.2500, 0.1778)
S (0.9482, 0.7500, 0.3805)
Cl (0.0656, 0.7500, 0.1133)
Cl (0.4344, 0.2500, 0.6133)
Cl (0.5656, 0.7500, 0.3867)
Cl (0.9344, 0.2500, 0.8867)

Largest 6 diffraction maxima, in order of falling intensity, 10° ≤ 2θ ≤ 90°:
2θ/deg	I_rel
33.02	100
25.78	77
23.59	65
31.59	51
14.29	41
47.51	33


(3)
Simulated X-ray diffraction stick pattern
Compound: LiBIr
Radiation: Cu Kα
Structure: a DFT-relaxed cell (GGA-PBE, the Materials Project)
Intensities are scaled so that the largest is 100.

Cell and atoms:
Unit cell a=6.9955 b=6.1010 c=5.5559 alpha=73.59 beta=56.78 gamma=49.63
Element x y z (fractional)
Li (0.0000, 0.0000, 0.0000)
Li (0.0000, 0.0000, 0.5000)
Li (0.0000, 0.5000, 0.0000)
Li (0.5000, 0.0000, 0.0000)
B (0.1987, 0.5513, 0.1987)
B (0.4487, 0.8013, 0.4487)
B (0.5513, 0.1987, 0.5513)
B (0.8013, 0.4487, 0.8013)
Ir (0.2419, 0.2419, 0.5081)
Ir (0.4919, 0.4919, 0.7581)
Ir (0.5081, 0.5081, 0.2419)
Ir (0.7581, 0.7581, 0.4919)

Largest 6 diffraction maxima, in order of falling intensity, 10° ≤ 2θ ≤ 90°:
2θ/deg	I_rel
19.22	100
34.91	48
30.88	41
49.60	38
34.10	25
33.63	23


(4)
Simulated X-ray diffraction stick pattern
Compound: CrN2
Radiation: Cu Kα
└──
We cannot, as a global society, tolerate periodic pandemics. We have the tools and technology to drastically reduce the risk of future pandemics. Pandemics are security threats. And just as with other security threats, no matter how bad the economic situation, no matter how many other crises our governments are facing, they don't stop funding their militaries. And they shouldn't stop funding things to improve health security.
(Here the entry breaks off for calculated crystals)
TbTh3Bi4: theoretical powder diffractogram (copper Kα), based on DFT lattice parameters and positions (GGA-PBE).

Most intense lines, 15° ≤ 2θ ≤ 90°, by angle:
d = 3.233 Å, intensity 100.0
d = 2.286 Å, intensity 79.1
d = 1.867 Å, intensity 29.0
d = 1.617 Å, intensity 13.8
d = 1.446 Å, intensity 31.9
d = 1.445 Å, intensity 6.4
d = 1.321 Å, intensity 14.2
d = 1.319 Å, intensity 14.3

Structure:
```
TbTh3Bi4
1.0
9.157 0.000 0.000
0.000 12.932 0.000
0.000 0.000 4.568
Tb Th Bi
2 6 8
Direct
0.000 0.000 0.000
0.500 0.500 0.000
0.000 0.500 0.000
0.250 0.250 0.500
0.250 0.750 0.500
0.500 0.000 0.000
0.750 0.250 0.500
0.750 0.750 0.500
0.000 0.247 0.000
0.000 0.753 0.000
0.244 0.000 0.500
0.256 0.500 0.500
0.500 0.253 0.000
0.500 0.747 0.000
0.744 0.500 0.500
0.756 0.000 0.500
```

---

TbY2Th3Bi6: theoretical powder diffractogram (copper Kα), based on DFT lattice parameters and positions (GGA-PBE).

Most intense lines, 15° ≤ 2θ ≤ 90°, by angle:
d = 3.211 Å, intensity 100.0
d = 2.275 Å, intensity 39.7
d = 2.267 Å, intensity 38.8
d = 1.856 Å, intensity 21.6
d = 1.606 Å, intensity 13.6
d = 1.438 Å, intensity 19.1
d = 1.435 Å, intensity 12.3
d = 1.313 Å, intensity 16.5

Structure:
```
TbY2Th3Bi6
1.0
9.896 -2.275 0.000
9.896 2.275 0.000
-2.040 0.000 8.824
Tb Y Th Bi
1 2 3 6
Direct
0.000 0.000 0.000
0.333 0.333 0.667
0.667 0.667 0.333
0.000 0.000 0.500
0.333 0.333 0.167
0.667 0.667 0.833
0.165 0.165 0.088
0.169 0.169 0.578
0.498 0.498 0.755
0.502 0.502 0.245
0.831 0.831 0.422
0.835 0.835 0.912
```

---

Tb3TlBi2: theoretical powder diffractogram (copper Kα), based on DFT lattice parameters and positions (GGA-PBE).

Most intense lines, 15° ≤ 2θ ≤ 90°, by angle:
d = 3.160 Å, intensity 100.0
d = 2.298 Å, intensity 27.9
d = 2.249 Å, intensity 13.2
d = 2.225 Å, intensity 12.7
d = 2.174 Å, intensity 24.0
d = 1.903 Å, intensity 8.3
d = 1.818 Å, intensity 14.0
d = 1.582 Å, intensity 8.9

Structure:
```
Tb3TlBi2
1.0
4.028 -6.675 0.000
4.028 6.675 0.000
-2.445 0.000 7.066
Tb Tl Bi
6 2 4
Direct
0.000 0.500 0.000
0.154 0.325 0.499
0.325 0.154 0.999
0.500 0.000 0.500
0.675 0.846 0.001
0.846 0.675 0.501
0.422 0.578 0.250
0.578 0.422 0.750
0.085 0.915 0.250
0.254 0.746 0.750
0.746 0.254 0.250
0.915 0.085 0.750
```

---

Tb3Tl2Bi: theoretical powder diffractogram (copper Kα), based on DFT lattice parameters and positions (GGA-PBE).

Most intense lines, 15° ≤ 2θ ≤ 90°, by angle:
d = 2.757 Å, intensity 100.0
d = 2.639 Å, intensity 22.3
d = 2.586 Å, intensity 20.8
d = 1.847 Å, intensity 15.6
d = 1.545 Å, intensity 17.8
d = 1.524 Å, intensity 16.5
d = 1.379 Å, intensity 12.1
d = 1.293 Å, intensity 12.3

Structure:
```
Tb3Tl2Bi
1.0
5.278 0.000 0.000
0.000 15.518 0.000
0.000 0.000 4.142
Tb Tl Bi
6 4 2
Direct
0.250 0.085 0.001
0.250 0.415 0.001
0.250 0.750 0.999
0.750 0.250 0.001
0.750 0.585 0.999
0.750 0.915 0.999
0.250 0.578 0.500
0.250 0.922 0.500
0.750 0.078 0.500
0.750 0.422 0.500
0.250 0.250 0.501
0.750 0.750 0.499
```

---
So to summarise the $3.5 billion dollar price tag for CEPI's 100 day mission is a bargain, compared with the disruption that could be caused by the next pandemic?
Yes. CEPI is not claiming that we can deliver vaccines against all future threats for this price tag. This is a global project. CEPI's programme is a part of that global endeavour. We're an international organisation and we are well positioned to do certain things, especially advancing vaccine R&D. The 100 Day Mission has captured the attention of a number of very significant politicians. It has been embraced in by the UK as part of its G7 presidency, by Germany's as part of its G7 presidency, and it will be a big part of Japan's forthcoming G7 presidency. It has also been embraced at the G20. It has been written into America's pandemic preparedness plan, they have articulated that the 100-day goal is America's goal. So, you know, this is not something CEPI can do by itself. But it's something that we think we can play an important part in catalysing and in supporting.
Watch the full interview here.
Read CEPI's report on how the world can deliver pandemic vaccines in 100 days here
Images: Science Museum Group; Injecting Hope: Race for the COVID-19 Vaccine